Image: D.D. Holm, T. Schmah & C. Stoica. Geometric Mechanics and Symmetry:
From Finite to Infinite Dimensions, Oxford University Press (2009).
Third AGM Meeting
Wave Current Interactions
The third meeting will be held on Thursday 30 March 2023 at Imperial College London. If you would like to attend the meeting, please register by sending an email to
The third AGM meeting in 2023 will be devoted to the topic of Wave Current Interactions. This topic lies at the heart of the NASA/ESA mission entitled Surface Water and Ocean Topography (SWOT) (link here).
Wave Current Interactions are also an important component of the Stochastic Transport in the Upper Ocean (STUOD) project. The STUOD project is funded by an European Research Council (ERC) Synergy Grant. It involves three institutions (Imperial College London, INRIA Rennes, and Ifremer, Brest). The STUOD project aims to create a complete pipeline for the analysis of upper ocean dynamics: problem formulation, mathematical modelling, rigorous analysis, parallel computational software and implementation, performance evaluation, data analysis and data assimilation, with improvements achieved by repetitions of this cycle. The STUOD endeavour draws on the team’s combined expertise in mathematics, physics, scientific computing and oceanography to chart pathways to impact ranging from theory to applications. More details of the STUOD project’s aims and its recent advances toward achieving its succession of goals may be found on the STUOD website (link here).
Someone pasted calculated crystals at this point:
=====
[1]
Structure and calculated PXRD pattern of Na7SnS3O12F3 (a crystal structure in the Materials Project, relaxed with GGA-PBE; Cu Kα).
Kinematic intensities with the Lorentz-polarization factor, no thermal factor.

Structure:
Lattice parameters (Å, degrees): 10.9335 10.9335 6.7937 90.00 90.00 120.00
Fractional coordinates of all 52 atoms:
Na1 0.0000 0.0000 0.0000
Na2 0.0000 0.0000 0.5000
Na3 0.0612 0.5306 0.9351
Na4 0.1735 0.3470 0.2130
Na5 0.1735 0.8265 0.2130
Na6 0.3470 0.1735 0.7130
Na7 0.4694 0.5306 0.9351
Na8 0.4694 0.9388 0.9351
Na9 0.5306 0.0612 0.4351
Na10 0.5306 0.4694 0.4351
Na11 0.6530 0.8265 0.2130
Na12 0.8265 0.1735 0.7130
Na13 0.8265 0.6530 0.7130
Na14 0.9388 0.4694 0.4351
Sn1 0.3333 0.6667 0.4529
Sn2 0.6667 0.3333 0.9529
S1 0.1694 0.3389 0.7038
S2 0.1694 0.8306 0.7038
S3 0.3389 0.1694 0.2038
S4 0.6611 0.8306 0.7038
S5 0.8306 0.1694 0.2038
S6 0.8306 0.6611 0.2038
O1 0.0733 0.3696 0.5841
O2 0.0733 0.7038 0.5841
O3 0.0928 0.1857 0.7585
O4 0.0928 0.9072 0.7585
O5 0.1857 0.0928 0.2585
O6 0.2150 0.4299 0.8830
O7 0.2150 0.7850 0.8830
O8 0.2962 0.3696 0.5841
O9 0.2962 0.9267 0.5841
O10 0.3696 0.0733 0.0841
O11 0.3696 0.2962 0.0841
O12 0.4299 0.2150 0.3830
O13 0.5701 0.7850 0.8830
O14 0.6304 0.7038 0.5841
O15 0.6304 0.9267 0.5841
O16 0.7038 0.0733 0.0841
O17 0.7038 0.6304 0.0841
O18 0.7850 0.2150 0.3830
O19 0.7850 0.5701 0.3830
O20 0.8143 0.9072 0.7585
O21 0.9072 0.0928 0.2585
O22 0.9072 0.8143 0.2585
O23 0.9267 0.2962 0.0841
O24 0.9267 0.6304 0.0841
F1 0.1587 0.5794 0.2542
F2 0.4206 0.5794 0.2542
F3 0.4206 0.8413 0.2542
F4 0.5794 0.1587 0.7542
F5 0.5794 0.4206 0.7542
F6 0.8413 0.4206 0.7542

Peak list (12 most intense, 2θ from 10° to 80°, sorted by position)
16.06°, I 782; 22.90°, I 1000; 27.90°, I 277; 28.19°, I 858; 30.99°, I 554; 32.76°, I 855; 36.69°, I 534; 38.95°, I 531; 40.35°, I 256; 47.51°, I 381; 51.79°, I 420; 64.60°, I 276

=====

[2]
Structure and calculated PXRD pattern of NaZnSO4F (a crystal structure in the Materials Project, relaxed with GGA-PBE; Cu Kα).
Kinematic intensities with the Lorentz-polarization factor, no thermal factor.

Structure:
Lattice parameters (Å, degrees): 5.5238 5.5238 7.2457 104.43 104.43 103.66
Fractional coordinates of all 16 atoms:
Na1 0.1634 0.8366 0.7500
Na2 0.8366 0.1634 0.2500
Zn1 0.5000 0.5000 0.0000
Zn2 0.5000 0.5000 0.5000
S1 0.1796 0.8204 0.2500
S2 0.8204 0.1796 0.7500
O1 0.0868 0.2422 0.8990
O2 0.1775 0.6211 0.3578
O3 0.2422 0.0868 0.3990
O4 0.3789 0.8225 0.1422
O5 0.6211 0.1775 0.8578
O6 0.7578 0.9132 0.6010
O7 0.8225 0.3789 0.6422
O8 0.9132 0.7578 0.1010
F1 0.4143 0.5857 0.7500
F2 0.5857 0.4143 0.2500

Peak list (12 most intense, 2θ from 10° to 80°, sorted by position)
17.48°, I 634; 26.88°, I 1000; 28.57°, I 815; 34.02°, I 560; 34.13°, I 606; 36.92°, I 189; 42.19°, I 254; 44.74°, I 223; 52.10°, I 334; 52.38°, I 235; 54.26°, I 216; 60.81°, I 191

=====

[3]
Structure and calculated PXRD pattern of NaSbO2F4 (a crystal structure in the Materials Project, relaxed with GGA-PBE; Cu Kα).
=====
Mathematical advances based on geometric mechanics have been applied in the STUOD project to guide the development of the needed aspects of data-driven modelling of ocean dynamics into a rigorous theoretical framework which partners with computational simulation and data assimilation in support of the physical oceanographic interpretations of the satellite images arising from SWOT and other satellites that are managed and made accessible to oceanographic researchers under the auspices of Ifremer, Brest.
Theme: Wave Current Interactions
Date: Thursday 30 March 2023, 13:00 – 17:00
Venue: Department of Mathematics, Imperial College London, Huxley Building, Room 747, 180 Queens Gate SW7 2AZ
Organiser: Darryl Holm, Imperial College London
12:30–13:00 Arrival and Coffee
13:00–13:50 Jacques Vanneste (University of Edinburgh)
Scattering of swell by vortices
13:50–14:40 Tom Bridges (University of Surrey)
********
The following is a computed powder diffraction line list of Ir4Os2Rh5. It was derived from a GGA-PBE-relaxed structure, using Cu Kα X-rays.
No peak broadening, texture or thermal motion is included.

Atomic structure:
Lattice parameters (Å, degrees): 9.0476 9.0476 6.6777 104.26 104.26 17.32
Atoms (fractional coordinates):
Ir: 0.0448 0.0448 0.3665
Ir: 0.3173 0.3173 0.5411
Ir: 0.6827 0.6827 0.4589
Ir: 0.9552 0.9552 0.6335
Os: 0.4085 0.4085 0.2742
Os: 0.5915 0.5915 0.7258
Rh: 0.1341 0.1341 0.0873
Rh: 0.2258 0.2258 0.8177
Rh: 0.5000 0.5000 0.0000
Rh: 0.7742 0.7742 0.1823
Rh: 0.8659 0.8659 0.9127

Largest 8 diffraction maxima, by angle, 2θ = 10–90°:
d/Å  intensity
6.467  11
2.226  100
1.928  49
1.363  31
1.163  3
1.162  35
1.114  3
1.113  8

----------

Record 1
# Nd6Fe13Sb
Computed XRD peak list, CuKα. Input: the GGA-PBE geometry in the Materials Project.

Largest 6 diffraction maxima, by angle, 10 to 90 degrees two-theta:
d 3.276, 2θ = 27.22°, I = 73.8; d 2.857, 2θ = 31.30°, I = 100.0; d 2.551, 2θ = 35.18°, I = 84.7; d 2.371, 2θ = 37.95°, I = 55.4; d 2.112, 2θ = 42.82°, I = 44.2; d 1.950, 2θ = 46.56°, I = 41.7

abc: 13.0364 13.0364 13.0364
angles: 143.95 143.95 51.90
Positions (direct):
Nd1 0.0226 0.5226 0.1749
Nd2 0.1041 0.1041 0.0000
Nd3 0.1523 0.9774 0.5000
Nd4 0.3477 0.8477 0.8251
Nd5 0.3959 0.3959 0.0000
Nd6 0.4774 0.6523 0.5000
Nd7 0.5226 0.3477 0.5000
Nd8 0.6041 0.6041 0.0000
Nd9 0.6523 0.1523 0.1749
Nd10 0.8477 0.0226 0.5000
Nd11 0.8959 0.8959 0.0000
Nd12 0.9774 0.4774 0.8251
Fe1 0.0000 0.5000 0.5000
Fe2 0.0203 0.2928 0.5000
Fe3 0.0667 0.2096 0.2763
Fe4 0.1200 0.6200 0.8571
Fe5 0.2072 0.4797 0.5000
Fe6 0.2096 0.9333 0.1429
Fe7 0.2371 0.7371 0.8571
Fe8 0.2629 0.1200 0.5000
Fe9 0.2904 0.4333 0.7237
Fe10 0.2928 0.7928 0.2725
Fe11 0.3800 0.2371 0.5000
Fe12 0.4333 0.7096 0.1429
Fe13 0.4797 0.9797 0.2725
Fe14 0.5000 0.0000 0.5000
Fe15 0.5203 0.0203 0.7275
Fe16 0.5667 0.2904 0.8571
Fe17 0.6200 0.7629 0.5000
Fe18 0.7072 0.2072 0.7275
Fe19 0.7096 0.5667 0.2763
Fe20 0.7371 0.8800 0.5000
Fe21 0.7629 0.2629 0.1429
Fe22 0.7904 0.0667 0.8571
Fe23 0.7928 0.5203 0.5000
Fe24 0.8800 0.3800 0.1429
Fe25 0.9333 0.7904 0.7237
Fe26 0.9797 0.7072 0.5000
Sb1 0.2500 0.2500 0.0000
Sb2 0.7500 0.7500 0.0000

Record 2
# UO2
Computed XRD peak list, CuKα. Input: the GGA-PBE geometry in the Materials Project.

Largest 6 diffraction maxima, by angle, 10 to 90 degrees two-theta:
d 3.129, 2θ = 28.52°, I = 100.0; d 2.710, 2θ = 33.05°, I = 37.3; d 1.916, 2θ = 47.44°, I = 49.2; d 1.634, 2θ = 56.29°, I = 47.2; d 1.244, 2θ = 76.63°, I = 20.2; d 1.106, 2θ = 88.34°, I = 17.8

abc: 5.4203 5.4203 5.4203
angles: 90.00 90.00 90.00
Positions (direct):
U1 0.0000 0.0000 0.0000
U2 0.0000 0.5000 0.5000
U3 0.5000 0.0000 0.5000
U4 0.5000 0.5000 0.0000
O1 0.2500 0.2500 0.2500
O2 0.2500 0.2500 0.7500
O3 0.2500 0.7500 0.2500
O4 0.2500 0.7500 0.7500
O5 0.7500 0.2500 0.2500
O6 0.7500 0.2500 0.7500
O7 0.7500 0.7500 0.2500
O8 0.7500 0.7500 0.7500

Record 3
# NdAlGa
********
**Back to the text:**
Patching together fields of water waves with distinct wave-mean properties
14:40–15:20 Coffee break
15:20–16:10 Baylor Fox-Kemper (Brown University)
Waves Affect and Detect Climate
16:10–17:00 Oliver Street (Imperial College London)
Interactions between mean flows and inertial gravity waves
Titles and Abstracts
Jacques Vanneste (University of Edinburgh)
Scattering of swell by vortices
The refraction of surface gravity waves by currents leads to the spatial modulation of the wave field and, in particular, to spatial inhomogeneities in the significant wave height. This can be captured by an asymptotic theory based on the smallness of the ratio between the typical current velocity and the wave group speed. For swell-like, highly directional wave spectra, the angular spread of the spectrum is another small parameter. I will explain how the relative size of the two parameters controls the structure of the modulations in significant wave height, and I will illustrate the results for simple localised flow structures such as vortices and dipoles. A broad conclusion is that the formation of caustics, which have attracted a great deal of attention, is unlikely for realistic wave spectra. The theoretical predictions are tested against numerical simulation using WAVEWATCH III.
Tom Bridges (University of Surrey)
Patching together fields of water waves with distinct wave-mean properties
This talk is about constructing connecting orbits between distinct fields of waves. The prototype is a travelling front which is asymptotic to distinct Stokes waves (different wavenumber, amplitude, frequency and mean flow). The fields are joined by a heteroclinic connection. Construction involves satisfying jump conditions (the far-fields must be compatible) which use conservation laws. Then, once hyperbolicity is established, dynamical systems theory is used to construct the connection. Two numerical methods have been successfully implemented: shooting and a
boundary value problem formulation. Extension to 2+1 will also be discussed. This work is with Dave Lloyd, Dan Ratliff, Michael Shearer, and Pat Sprenger. It emerged from the Newton Institute programme on nonlinear waves in Autumn 2022.
Baylor Fox-Kemper (Brown University)
Waves Affect and Detect Climate
Ocean surface gravity waves, the ones familiar to surfers and beachgoers, are mostly generated by winds. Because they are the most direct way that winds affect the ocean, they both affect the climate system and are used in the detection of climate change. It is difficult to measure the winds everywhere on earth, but detection of ocean waves from satellites provides a near-global view into their continual change. Over long distances, changes in the waves accumulate the history of the winds that
blow over them, so changes in the waves are both an impact (through coastal inundation) and detector of climate change. Waves also link closely to ocean turbulence, ocean currents, and sea ice breakup. Nobelist Irving Langmuir first described a key consequence of ocean turbulence driven by waves (windrows) where
flotsam such as pollution (oil and plastics), seafoam, and seaweed accumulates. Accounting for this wave-driven turbulence in climate models has improved our ability to project future global warming, and future improvements in modeling waves’ effects on sea ice and currents lie ahead.
Oliver Street (Imperial College London)
Inserted here: data records >
-- begin --
The following is a calculated X-ray powder pattern of LiZnInBr4. It was derived from DFT lattice parameters and positions (PBE), using Cu Ka.
No peak broadening, texture or thermal motion is included.

Structure:
Lattice parameters (Å, degrees): 6.492 8.453 8.762 90.00 103.73 90.00
Fractional positions:
Li 0.204 0.250 0.319
Li 0.796 0.750 0.681
Zn 0.286 0.750 0.692
Zn 0.714 0.250 0.308
In 0.332 0.250 0.914
In 0.668 0.750 0.086
Br 0.005 0.250 0.535
Br 0.121 0.750 0.919
Br 0.460 0.030 0.268
Br 0.460 0.470 0.268
Br 0.540 0.530 0.732
Br 0.540 0.970 0.732
Br 0.879 0.250 0.081
Br 0.995 0.750 0.465

Main lines, sorted by position (2θ = 10–80°):
two_theta	Rel. int.
15.4	57
25.4	72
26.1	100
27.9	71
29.8	92
42.8	69

***

The following is a calculated X-ray powder pattern of MgInBr4. It was derived from DFT lattice parameters and positions (PBE), using Cu Ka.
No peak broadening, texture or thermal motion is included.

Structure:
Lattice parameters (Å, degrees): 8.083 8.083 7.175 115.99 115.99 28.73
Fractional positions:
Mg 0.000 0.000 0.000
In 0.500 0.500 0.500
Br 0.115 0.115 0.812
Br 0.391 0.391 0.744
Br 0.609 0.609 0.256
Br 0.885 0.885 0.188

Main lines, sorted by position (2θ = 10–80°):
two_theta	Rel. int.
12.7	70
28.0	39
28.5	100
36.3	39
44.1	30
46.9	29

***

The following is a calculated X-ray powder pattern of MgInBr2. It was derived from DFT lattice parameters and positions (PBE), using Cu Ka.
No peak broadening, texture or thermal motion is included.

Structure:
Lattice parameters (Å, degrees): 6.870 6.870 6.036 110.19 110.19 30.46
Fractional positions:
Mg 0.000 0.000 0.000
In 0.695 0.695 0.408
Br 0.375 0.375 0.071
Br 0.569 0.569 0.772

Main lines, sorted by position (2θ = 10–80°):
two_theta	Rel. int.
24.9	100
25.7	66
27.5	57
29.8	52
31.6	37
33.0	67

***

The following is a calculated X-ray powder pattern of MgInBr2. It was derived from DFT lattice parameters and positions (PBE), using Cu Ka.
No peak broadening, texture or thermal motion is included.

Structure:
Lattice parameters (Å, degrees): 11.770 11.770 11.770 18.38 18.38 18.38
Fractional positions:
Mg 0.000 0.000 0.000
In 0.500 0.500 0.500
Br 0.288 0.288 0.288
Br 0.712 0.712 0.712

Main lines, sorted by position (2θ = 10–80°):
two_theta	Rel. int.
15.3	43
23.1	56
29.3	100
30.3	98
37.9	63
46.0	46

***

The following is a calculated X-ray powder pattern of NaMgInBr4. It was derived from DFT lattice parameters and positions (PBE), using Cu Ka.
No peak broadening, texture or thermal motion is included.

Structure:
Lattice parameters (Å, degrees): 7.384 7.672 8.823 90.00 106.37 90.00
Fractional positions:
Na 0.219 0.250 0.059
Na 0.781 0.750 0.941
Mg 0.250 0.750 0.824
Mg 0.750 0.250 0.176
In 0.233 0.250 0.563
In 0.767 0.750 0.437
Br 0.017 0.501 0.777
Br 0.017 0.999 0.777
Br 0.452 0.750 0.640
Br 0.467 0.750 0.098
Br 0.533 0.250 0.902
Br 0.548 0.250 0.360
Br 0.983 0.001 0.223
Br 0.983 0.499 0.223

Main lines, sorted by position (2θ = 10–80°):
two_theta	Rel. int.
26.4	100
29.8	61
30.3	60
31.5	43
-- stop --
Back to the text >
Interactions between mean flows and inertial gravity waves
(Joint work with D. Holm and R. Hu)
We derive the generalised Lagrangian mean (GLM) theory as a phase-averaged variational principle expressed as a composition of two smooth invertible maps. Following Gjaja and Holm 1996, we consider 3D inertial gravity waves (IGWs) in the Euler–Boussinesq fluid approximation. We provide closure models for GLM IGWs at leading order in 3D complex vector WKB wave asymptotics.
For any enquiries, please contact Hamid Alemi Ardakani.
Applied Geometric Mechanics
A UK Research Network